Presbyterian Care Singapore Network (PCS-N)

Committee Members 2023-2025


  • To raise the profile of participating Presbyterian churches that are involved in providing services to the community under a unifying networking platform.
  • To share the resources in terms of experience and knowledge among the concerned parties involved in community services/ministries.
  • To establish a relational network with the purpose of promoting goodwill and possible collaboration for collective impact.

PCS-N, in line with its objectives, hopes to serve as a platform for coming together of like-minded Presbyterian Churches in reaching out to the community at large as one united body in Christ.


More importantly, the coming together for the mutual benefits of our respective network members is to provide greater impact in the community we serve.

=====
# 1
The following is a DFT calculation (PBE-GGA) of HfNbGa2 after structural relaxation.

a b c (Å): 4.065 4.151 4.151
angles (deg): 90.00 90.00 90.00
Positions (direct):
Ga1 0.000 0.000 0.500
Ga2 0.000 0.500 0.000
Hf1 0.500 0.500 0.500
Nb1 0.500 0.000 0.000

Computed properties:
Space-group type: No. 123
Energy above the most stable polymorph in this dataset: 0.36 eV/f.u.
ΔE_f: -0.342 eV/atom
Crystal system: tetragonal
Energy: -6.861 eV/atom

=====

# 2
The following is a DFT calculation (PBE-GGA) of Hf2NbGa after structural relaxation.

a b c (Å): 3.463 3.463 6.472
angles (deg): 90.00 90.00 90.00
Positions (direct):
Hf1 0.000 0.000 0.750
Hf2 0.000 0.000 0.250
Nb1 0.500 0.500 0.500
Ga1 0.500 0.500 0.000

Computed properties:
Space-group type: No. 123
ΔE_f: -0.251 eV/atom
Crystal system: tetragonal
Energy: -8.501 eV/atom

=====

# 3
The following is a DFT calculation (PBE-GGA) of HfNbGa3 after structural relaxation.

a b c (Å): 4.943 4.943 4.943
angles (deg): 90.00 90.00 90.00
Positions (direct):
Ga1 0.000 0.500 0.000
Ga2 0.000 0.000 0.500
Ga3 0.500 0.000 0.000
Nb1 0.500 0.500 0.500
Hf1 0.000 0.000 0.000

Computed properties:
Space-group type: No. 221
Energy above the most stable polymorph in this dataset: 6.72 eV/f.u.
ΔE_f: 1.117 eV/atom
Crystal system: cubic
Energy: -4.703 eV/atom

=====

# 4
The following is a DFT calculation (PBE-GGA) of Hf3NbGa after structural relaxation.

a b c (Å): 6.813 6.813 6.813
angles (deg): 88.45 117.42 124.50
Positions (direct):
Nb1 0.032 0.531 0.001
Nb2 0.531 0.031 0.999
Hf1 0.531 0.754 0.722
Hf2 0.531 0.309 0.276
Hf3 0.033 0.254 0.724
Hf4 0.974 0.781 0.693
Hf5 0.033 0.809 0.278
Hf6 0.088 0.281 0.307
Ga1 0.589 0.782 0.307
Ga2 0.475 0.282 0.693

Computed properties:
Space-group type: No. 46
Energy above the most stable polymorph in this dataset: 0.00 eV/f.u.
ΔE_f: 0.346 eV/atom
Crystal system: orthorhombic
Energy: -8.245 eV/atom

=====

- What is the energy in the fourth record?
  -8.245 eV/atom

=====

- What is the formula in the first record?
  HfNbGa2

=====

- The lowest energy belongs to which entry?
  Hf2NbGa

=====

Repeat the third record exactly.
The following is a DFT calculation (PBE-GGA) of HfNbGa3 after structural relaxation.

a b c (Å): 4.943 4.943 4.943
angles (deg): 90.00 90.00 90.00
Positions (direct):
Ga1 0.000 0.500 0.000
Ga2 0.000 0.000 0.500
Ga3 0.500 0.000 0.000
Nb1 0.500 0.500 0.500
Hf1 0.000 0.000 0.000

Computed properties:
Space-group type: No. 221
Energy above the most stable polymorph in this dataset: 6.72 eV/f.u.
ΔE_f: 1.117 eV/atom
Crystal system: cubic
Energy: -4.703 eV/atom

~~~~~

(1)
Here is crystalline HfGa3Tc at its relaxed geometry from the Alexandria database. Energies are from PBE-GGA.

Computed properties:
Mass density in g/cm³: 6.2
Total energy in eV for the cell shown: -23.18
E_form in eV per atom: 1.244
Total moment in μB per formula unit: 3.5
Polymorph energy (0 for the lowest one) in eV per atom: 1.206

Cell and atoms, written as CIF:
```
data_HfGa3Tc
=====


Highlights of PCS-N events over the years as follows:

  • The first event was an introduction of the PCS-N concept by former Presbyterian Community Services Executive Director Elder Laurence Wee at Synod AGM 2013 in conjunction with PCS report. It was well received.
  • The second event was a Round Table Discussion and Feedback Session was held in at Metropolitan YMCA on 29 April 2014. The Session saw the vision of PCS-N, its rationale, objectives and purpose being explained. It was an appeal for like-minded churches to come together as a common platform and solidarity.
  • The third event was the Inaugural PCS-N conference held at All Saints Home in 2014. Some 15 community services under the Presbyterian umbrella participated in the event to showcase all the various services and good works they had carried out. During the event, Elder Gan Kim Yong was the GOH.
    (A Commemorative Magazine “The Presbyterian Church Community Services” was produced and distributed during the 135th Anniversary of the Presbyterian Church in Singapore held at Indoor Stadium in 2016).
  • A Standing Committee under Synod for PCS-N has been formed under the auspices of Synod Moderator Rt. Rev Teo Yew Tiong (2017-2019). The first committee meeting was held on 17 April 2018.
  • On 18 July 2019, the Presbyterian Care Singapore Network (PCS-N) held its inaugural PCS-N Round Table event. A total of 30 participants from 12 organizations including Synod Moderator Rt Rev Keith Lai attended. Synod Vice Moderator Wong Shyun Jye introduced a draft Memorandum of Understanding (MoU), which is non-binding, for members’ consideration.

Inaugural PCS-N Round Table

Inaugural PCS-N Round Table